File:
- - -
Record 1
ReAgBi3 | PBE-GGA | optimized geometry

Cell and atoms, written as extended XYZ:
```
5
Lattice="-1.824 -1.352 4.845 -3.330 -3.538 -2.241 3.770 -3.779 0.365" Properties=species:S:1:pos:R:3 pbc="T T T"
Re 0.000 0.000 0.000
Bi -1.665 -1.769 -1.121
Bi 1.885 -1.890 0.182
Bi -0.912 -0.676 2.423
Ag -0.692 -4.335 1.484
```

Calculated total energy = -22.599 eV for the cell shown
Energy relative to the elements = 0.869 eV/atom
ρ = 10.0 g cm⁻³
DOS(E_F) = 7.94 states/eV per cell
Space group = Pm-3m (221)
Relative energy among the computed polymorphs = 0.0 meV per atom



Record 2
Sr2Ga3Ag4Ge | PBE-GGA | optimized geometry

Cell and atoms, written as extended XYZ:
```
10
Lattice="4.529 0.000 0.000 0.000 4.529 0.000 0.000 0.000 10.972" Properties=species:S:1:pos:R:3 pbc="T T T"
Sr 2.264 0.000 2.776
Sr 0.000 2.264 8.196
Ga 0.000 0.000 5.486
Ga 2.264 0.000 9.578
Ga 0.000 2.264 1.393
Ag 2.264 2.264 0.000
Ag 0.000 0.000 0.000
- - -
Assignment:
Reproduce everything earlier on without additions.
Response:
Record 1
ReAgBi3 | PBE-GGA | optimized geometry

Cell and atoms, written as extended XYZ:
```
5
Lattice="-1.824 -1.352 4.845 -3.330 -3.538 -2.241 3.770 -3.779 0.365" Properties=species:S:1:pos:R:3 pbc="T T T"
Re 0.000 0.000 0.000
Bi -1.665 -1.769 -1.121
Bi 1.885 -1.890 0.182
Bi -0.912 -0.676 2.423
Ag -0.692 -4.335 1.484
```

Calculated total energy = -22.599 eV for the cell shown
Energy relative to the elements = 0.869 eV/atom
ρ = 10.0 g cm⁻³
DOS(E_F) = 7.94 states/eV per cell
Space group = Pm-3m (221)
Relative energy among the computed polymorphs = 0.0 meV per atom



Record 2
Sr2Ga3Ag4Ge | PBE-GGA | optimized geometry

Cell and atoms, written as extended XYZ:
```
10
Lattice="4.529 0.000 0.000 0.000 4.529 0.000 0.000 0.000 10.972" Properties=species:S:1:pos:R:3 pbc="T T T"
Sr 2.264 0.000 2.776
Sr 0.000 2.264 8.196
Ga 0.000 0.000 5.486
Ga 2.264 0.000 9.578
Ga 0.000 2.264 1.393
Ag 2.264 2.264 0.000
Ag 0.000 0.000 0.000